_Source_
'''
(1)
Density functional theory data (GGA-PBE) for a relaxed LiZnAsH2O5 crystal.

a b c (Å): 5.216 8.466 11.086
angles (deg): 90.00 90.00 90.00
Atoms (fractional coordinates):
Li: 0.264 0.675 0.180
Li: 0.764 0.175 0.320
Li: 0.264 0.825 0.680
Li: 0.764 0.325 0.820
Zn: 0.763 0.869 0.124
Zn: 0.263 0.369 0.376
Zn: 0.763 0.631 0.624
Zn: 0.263 0.131 0.876
As: 0.258 0.079 0.171
As: 0.758 0.579 0.329
As: 0.258 0.421 0.671
As: 0.758 0.921 0.829
H: 0.593 0.451 0.016
H: 0.822 0.331 0.041
H: 0.322 0.831 0.459
H: 0.093 0.951 0.484
H: 0.593 0.049 0.516
H: 0.822 0.169 0.541
H: 0.322 0.669 0.959
H: 0.093 0.549 0.984
O: 0.256 0.588 0.015
O: 0.171 0.181 0.043
O: 0.127 0.891 0.168
O: 0.585 0.060 0.190
O: 0.632 0.678 0.207
O: 0.132 0.178 0.293
O: 0.085 0.560 0.310
O: 0.627 0.391 0.332
O: 0.671 0.681 0.457
O: 0.756 0.088 0.485
O: 0.256 0.912 0.515
O: 0.171 0.319 0.543
O: 0.127 0.609 0.668
O: 0.585 0.440 0.690
O: 0.632 0.822 0.707
O: 0.132 0.322 0.793
O: 0.085 0.940 0.810
O: 0.627 0.109 0.832
O: 0.671 0.819 0.957
O: 0.756 0.412 0.985

Magnetic moment (Bohr magnetons per cell): 0.0
E_form (meV/atom): -1763
Crystal system: orthorhombic
Total energy (Ry per atom): -0.3936
Space group: Pna2_1, No. 33

---

(2)
Density functional theory data (GGA-PBE) for a relaxed Sr3LiAs2H crystal.

a b c (Å): 4.496 12.100 12.631
angles (deg): 90.00 90.00 90.00
Atoms (fractional coordinates):
Sr: 0.250 0.063 0.622
Sr: 0.250 0.563 0.878
Sr: 0.750 0.937 0.378
Sr: 0.750 0.437 0.122
Sr: 0.250 0.205 0.299
Sr: 0.250 0.705 0.201
Sr: 0.750 0.795 0.701
Sr: 0.750 0.295 0.799
Sr: 0.250 0.369 0.561
Sr: 0.250 0.869 0.939
Sr: 0.750 0.631 0.439
Sr: 0.750 0.131 0.061
Li: 0.250 0.135 0.859
Li: 0.250 0.635 0.641
Li: 0.750 0.865 0.141
Li: 0.750 0.365 0.359
As: 0.250 0.313 0.987
As: 0.250 0.813 0.513
As: 0.750 0.687 0.013
As: 0.750 0.187 0.487
As: 0.250 0.475 0.325
As: 0.250 0.975 0.175
As: 0.750 0.525 0.675
As: 0.750 0.025 0.825
H: 0.250 0.238 0.727
H: 0.250 0.738 0.773
H: 0.750 0.762 0.273
H: 0.750 0.262 0.227

Magnetic moment (Bohr magnetons per cell): 0.0
E_form (meV/atom): -1019
Crystal system: orthorhombic
Total energy (Ry per atom): -0.2797
Space group: Pnma, No. 62

---

(3)
Density functional theory data (GGA-PBE) for a relaxed Mg5As4H22O26 crystal.

a b c (Å): 6.702 7.865 10.571
angles (deg): 81.35 80.93 84.13
Atoms (fractional coordinates):
Mg: 0.000 0.000 0.500
Mg: 0.602 0.082 0.093
Mg: 0.398 0.918 0.907
Mg: 0.108 0.637 0.065
Mg: 0.892 0.363 0.935
As: 0.081 0.040 0.165
As: 0.919 0.960 0.835
As: 0.595 0.630 0.134
As: 0.405 0.370 0.866
H: 0.370 0.134 0.308
H: 0.630 0.866 0.692
H: 0.345 0.452 0.605
H: 0.655 0.548 0.395
H: 0.254 0.483 0.271
H: 0.746 0.517 0.729
H: 0.354 0.002 0.602
H: 0.646 0.998 0.398
H: 0.124 0.766 0.353
H: 0.876 0.234 0.647
H: 0.271 0.197 0.553
H: 0.729 0.803 0.447
H: 0.203 0.184 0.798
H: 0.797 0.816 0.202
H: 0.110 0.443 0.623
H: 0.890 0.557 0.377
H: 0.093 0.351 0.264
H: 0.907 0.649 0.736
H: 0.526 0.280 0.278
H: 0.474 0.720 0.722
H: 0.185 0.654 0.481
H: 0.815 0.346 0.519
O: 0.893 0.154 0.086
O: 0.107 0.846 0.914
O: 0.824 0.562 0.054
O: 0.176 0.438 0.946
O: 0.154 0.773 0.440
O: 0.846 0.227 0.560
O: 0.413 0.685 0.035
O: 0.587 0.315 0.965
O: 0.313 0.047 0.070
O: 0.687 0.953 0.930
O: 0.233 0.434 0.558
O: 0.767 0.566 0.442
O: 0.516 0.153 0.278
O: 0.484 0.847 0.722
O: 0.023 0.825 0.200
O: 0.977 0.175 0.800
O: 0.510 0.495 0.269
O: 0.490 0.505 0.731
O: 0.357 0.179 0.806
O: 0.643 0.821 0.194
O: 0.094 0.123 0.305
O: 0.906 0.877 0.695
O: 0.267 0.074 0.544
O: 0.733 0.926 0.456
O: 0.114 0.477 0.249
O: 0.886 0.523 0.751

Magnetic moment (Bohr magnetons per cell): 0.0
E_form (meV/atom): -1744
Crystal system: triclinic
Total energy (Ry per atom): -0.4017
Space group: P-1, No. 2

---

(4)
Density functional theory data (GGA-PBE) for a relaxed MgAsH15O11 crystal.

a b c (Å): 13.637 13.637 11.456
angles (deg): 88.64 88.64 151.62
Atoms (fractional coordinates):
Mg: 0.720 0.280 0.250
Mg: 0.554 0.446 0.750
Mg: 0.446 0.554 0.250
Mg: 0.280 0.720 0.750
As: 0.970 0.161 0.958
'''

_To do_
Return everything further up without altering anything.

_Worked solution_
(1)
Density functional theory data (GGA-PBE) for a relaxed LiZnAsH2O5 crystal.

a b c (Å): 5.216 8.466 11.086
angles (deg): 90.00 90.00 90.00
Atoms (fractional coordinates):
Li: 0.264 0.675 0.180
Li: 0.764 0.175 0.320
Li: 0.264 0.825 0.680
Li: 0.764 0.325 0.820
Zn: 0.763 0.869 0.124
Zn: 0.263 0.369 0.376
Zn: 0.763 0.631 0.624
Zn: 0.263 0.131 0.876
As: 0.258 0.079 0.171
As: 0.758 0.579 0.329
As: 0.258 0.421 0.671
As: 0.758 0.921 0.829
H: 0.593 0.451 0.016
H: 0.822 0.331 0.041
H: 0.322 0.831 0.459
H: 0.093 0.951 0.484
H: 0.593 0.049 0.516
H: 0.822 0.169 0.541
H: 0.322 0.669 0.959
H: 0.093 0.549 0.984
O: 0.256 0.588 0.015
O: 0.171 0.181 0.043
O: 0.127 0.891 0.168
O: 0.585 0.060 0.190
O: 0.632 0.678 0.207
O: 0.132 0.178 0.293
O: 0.085 0.560 0.310
O: 0.627 0.391 0.332
O: 0.671 0.681 0.457
O: 0.756 0.088 0.485
O: 0.256 0.912 0.515
O: 0.171 0.319 0.543
O: 0.127 0.609 0.668
O: 0.585 0.440 0.690
O: 0.632 0.822 0.707
O: 0.132 0.322 0.793
O: 0.085 0.940 0.810
O: 0.627 0.109 0.832
O: 0.671 0.819 0.957
O: 0.756 0.412 0.985

Magnetic moment (Bohr magnetons per cell): 0.0
E_form (meV/atom): -1763
Crystal system: orthorhombic
Total energy (Ry per atom): -0.3936
Space group: Pna2_1, No. 33

---

(2)
Density functional theory data (GGA-PBE) for a relaxed Sr3LiAs2H crystal.

a b c (Å): 4.496 12.100 12.631
angles (deg): 90.00 90.00 90.00
Atoms (fractional coordinates):
Sr: 0.250 0.063 0.622
Sr: 0.250 0.563 0.878
Sr: 0.750 0.937 0.378
Sr: 0.750 0.437 0.122
Sr: 0.250 0.205 0.299
Sr: 0.250 0.705 0.201
Sr: 0.750 0.795 0.701
Sr: 0.750 0.295 0.799
Sr: 0.250 0.369 0.561
Sr: 0.250 0.869 0.939
Sr: 0.750 0.631 0.439
Sr: 0.750 0.131 0.061
Li: 0.250 0.135 0.859
Li: 0.250 0.635 0.641
Li: 0.750 0.865 0.141
Li: 0.750 0.365 0.359
As: 0.250 0.313 0.987
As: 0.250 0.813 0.513
As: 0.750 0.687 0.013
As: 0.750 0.187 0.487
As: 0.250 0.475 0.325
As: 0.250 0.975 0.175
As: 0.750 0.525 0.675
As: 0.750 0.025 0.825
H: 0.250 0.238 0.727
H: 0.250 0.738 0.773
H: 0.750 0.762 0.273
H: 0.750 0.262 0.227

Magnetic moment (Bohr magnetons per cell): 0.0
E_form (meV/atom): -1019
Crystal system: orthorhombic
Total energy (Ry per atom): -0.2797
Space group: Pnma, No. 62

---

(3)
Density functional theory data (GGA-PBE) for a relaxed Mg5As4H22O26 crystal.

a b c (Å): 6.702 7.865 10.571
angles (deg): 81.35 80.93 84.13
Atoms (fractional coordinates):
Mg: 0.000 0.000 0.500
Mg: 0.602 0.082 0.093
Mg: 0.398 0.918 0.907
Mg: 0.108 0.637 0.065
Mg: 0.892 0.363 0.935
As: 0.081 0.040 0.165
As: 0.919 0.960 0.835
As: 0.595 0.630 0.134
As: 0.405 0.370 0.866
H: 0.370 0.134 0.308
H: 0.630 0.866 0.692
H: 0.345 0.452 0.605
H: 0.655 0.548 0.395
H: 0.254 0.483 0.271
H: 0.746 0.517 0.729
H: 0.354 0.002 0.602
H: 0.646 0.998 0.398
H: 0.124 0.766 0.353
H: 0.876 0.234 0.647
H: 0.271 0.197 0.553
H: 0.729 0.803 0.447
H: 0.203 0.184 0.798
H: 0.797 0.816 0.202
H: 0.110 0.443 0.623
H: 0.890 0.557 0.377
H: 0.093 0.351 0.264
H: 0.907 0.649 0.736
H: 0.526 0.280 0.278
H: 0.474 0.720 0.722
H: 0.185 0.654 0.481
H: 0.815 0.346 0.519
O: 0.893 0.154 0.086
O: 0.107 0.846 0.914
O: 0.824 0.562 0.054
O: 0.176 0.438 0.946
O: 0.154 0.773 0.440
O: 0.846 0.227 0.560
O: 0.413 0.685 0.035
O: 0.587 0.315 0.965
O: 0.313 0.047 0.070
O: 0.687 0.953 0.930
O: 0.233 0.434 0.558
O: 0.767 0.566 0.442
O: 0.516 0.153 0.278
O: 0.484 0.847 0.722
O: 0.023 0.825 0.200
O: 0.977 0.175 0.800
O: 0.510 0.495 0.269
O: 0.490 0.505 0.731
O: 0.357 0.179 0.806
O: 0.643 0.821 0.194
O: 0.094 0.123 0.305
O: 0.906 0.877 0.695
O: 0.267 0.074 0.544
O: 0.733 0.926 0.456
O: 0.114 0.477 0.249
O: 0.886 0.523 0.751

Magnetic moment (Bohr magnetons per cell): 0.0
E_form (meV/atom): -1744
Crystal system: triclinic
Total energy (Ry per atom): -0.4017
Space group: P-1, No. 2

---

(4)
Density functional theory data (GGA-PBE) for a relaxed MgAsH15O11 crystal.

a b c (Å): 13.637 13.637 11.456
angles (deg): 88.64 88.64 151.62
Atoms (fractional coordinates):
Mg: 0.720 0.280 0.250
Mg: 0.554 0.446 0.750
Mg: 0.446 0.554 0.250
Mg: 0.280 0.720 0.750
As: 0.970 0.161 0.958